B5 Flashcards
Communicable diseases
They are caused by pathogens such as bacteria and virus, that can be passed from person to person.
Non-communicable diseases
They can’t be transmitted from person to person
Pathogenic bacteria are the minority - but they are significant because of the major effects they can have on individuals society.
Viruses are smaller than bacteria. They usually have regular shapes. Viruses cause diseases in every type of living organisms.
How pathogens cause disease?
Bacteria divide rapidly by splitting in two. They produce toxins that affect your body and make you ill. Sometimes they directly damage your cells.
How do pathogens cause disease?
Viruses take over cells in your body. They live and reproduce inside the cells, damaging or destroying them.
How are pathogens spread?
By air
By direct contact
By water
What affects bacterial growth?
Available nutrients
Oxygen levels
Preventing the spread of communicable diseases.
Washing hands regularly
Using disinfectants for kitchen and other work surfaces
Keep raw meat away from other foods that will be consumed
Coughing and sneezing in a tissue and disposing of it
Get vaccinated
What are vaccinations?
No. 1
First-principles (PBE-GGA) data for a geometry-optimized LaCu6 structure, as listed in Alexandria via LeMat-Bulk.

Cell lengths 10.1966, 5.1888, 8.1203 Å; angles 87.93, 90.00, 90.00 degrees
With the nearest neighbours (Å) after each atom.
Atoms (fractional coordinates):
Cu1 0.8120 0.0084 0.5621  9 Cu 2.46-2.70
Cu2 0.4011 0.2188 0.4334  5 Cu 2.47-2.61
Cu3 0.3120 0.9916 0.9379  9 Cu 2.46-2.70
Cu4 0.0989 0.2188 0.9334  5 Cu 2.47-2.61
Cu5 0.1428 0.7630 0.1496  8 Cu 2.56-2.86
Cu6 0.6428 0.2370 0.3504  8 Cu 2.56-2.86
Cu7 0.7440 0.7506 0.3196  8 Cu 2.46-2.75
Cu8 0.2440 0.2494 0.1804  8 Cu 2.46-2.75
Cu9 0.7560 0.7506 0.8196  8 Cu 2.46-2.75
Cu10 0.5989 0.7812 0.5666  5 Cu 2.47-2.61
Cu11 0.8084 0.4990 0.5687  8 Cu 2.46-2.66
Cu12 0.6880 0.0084 0.0621  9 Cu 2.46-2.70
Cu13 0.1916 0.5010 0.4313  8 Cu 2.46-2.66
Cu14 0.3572 0.7630 0.6496  8 Cu 2.56-2.86
Cu15 0.0166 0.2499 0.6011  6 Cu 2.46-2.60
Cu16 0.8572 0.2370 0.8504  8 Cu 2.56-2.86
Cu17 0.9011 0.7812 0.0666  5 Cu 2.47-2.61
Cu18 0.4834 0.2499 0.1011  6 Cu 2.46-2.60
Cu19 0.5166 0.7501 0.8989  6 Cu 2.46-2.60
Cu20 0.3084 0.5010 0.9313  8 Cu 2.46-2.66
Cu21 0.9834 0.7501 0.3989  6 Cu 2.46-2.60
Cu22 0.2560 0.2494 0.6804  8 Cu 2.46-2.75
Cu23 0.1880 0.9916 0.4379  9 Cu 2.46-2.70
Cu24 0.6916 0.4990 0.0687  8 Cu 2.46-2.66
La1 0.5632 0.2627 0.7384  13 Cu 2.93-3.26
La2 0.9368 0.2627 0.2384  13 Cu 2.93-3.26
La3 0.0632 0.7373 0.7616  13 Cu 2.93-3.26
La4 0.4368 0.7373 0.2616  13 Cu 2.93-3.26

Results
- formation enthalpy at 0 K (meV/atom) = -134
- SG = No. 14
- calculated volume (A^3/atom) = 15.3
- magnetic moment (μB/atom) = 0.00
- energy relative to the lowest polymorph listed for this composition (eV per atom) = 0.000
- Fermi-level density of states (states/eV per cell) = 12.2
- DFT total energy (eV per atom) = -4.349



No. 2
First-principles (PBE-GGA) data for a geometry-optimized Pr2Er5Tm2 structure, as listed in Alexandria via LeMat-Bulk.

Cell lengths 11.7806, 6.6777, 10.0527 Å; angles 109.40, 125.87, 90.00 degrees
With the nearest neighbours (Å) after each atom.
Atoms (fractional coordinates):
Er1 0.7957 0.7587 0.1063  5 Er 3.18-3.55, 1 Pr 3.24, 1 Tm 3.32
Er2 0.3777 0.0401 0.2838  5 Er 3.18-3.55, 1 Tm 3.35, 1 Pr 3.40
Er3 0.6223 0.7564 0.7162  5 Er 3.18-3.55, 1 Tm 3.35, 1 Pr 3.40
Er4 0.2043 0.6524 0.8937  5 Er 3.18-3.55, 1 Pr 3.24, 1 Tm 3.32
Er5 0.1894 0.1524 0.8937  5 Er 3.18-3.55, 1 Pr 3.24, 1 Tm 3.32
Er6 0.5939 0.2564 0.7162  5 Er 3.18-3.55, 1 Tm 3.35, 1 Pr 3.40
Er7 0.4061 0.5401 0.2838  5 Er 3.18-3.55, 1 Tm 3.35, 1 Pr 3.40
Er8 0.8106 0.2587 0.1063  5 Er 3.18-3.55, 1 Pr 3.24, 1 Tm 3.32
Er9 0.0030 0.6497 0.5000  6 Er 3.20-3.57, 1 Pr 3.39, 2 Tm 3.55
Er10 0.9970 0.1497 0.5000  6 Er 3.20-3.57, 1 Pr 3.39, 2 Tm 3.55
Tm1 0.6317 0.1841 0.2531  4 Er 3.32-3.64, 2 Pr 3.54-3.55, 1 Tm 3.67
Tm2 0.8786 0.4310 0.7469  4 Er 3.32-3.64, 2 Pr 3.54-3.55, 1 Tm 3.67
Tm3 0.3683 0.9310 0.7469  4 Er 3.32-3.64, 2 Pr 3.54-3.55, 1 Tm 3.67
Tm4 0.1214 0.6841 0.2531  4 Er 3.32-3.64, 2 Pr 3.54-3.55, 1 Tm 3.67
(Here the entry continues)
The vaccine contains a small and harmless amount of a specific pathogen. This is injected into you, which means your body is exposed to this pathogen. Your body fights the pathogen and retains some antibodies to fight the pathogen again if it is encountered in large amounts.
Non-specific body defence mechanisms
Tear ducts - saline solution blocks and caches pathogens and disposes of them
Mucus - catches pathogens and disposes of them
Cilla - hair like cells which trap pathogens
Scabs - prevent pathogens entering when you have cut your skin
Skin - prevents the entering of pathogens to major organs
What are Measles?
Measles are a viral disease.
If you have measles, symptoms include fever and a red skin rash.
Measles can be fatal if you are diagnosed with it.
How are measles spread?
Measles can quite easily be spread, especially through coughing and sneezing, also it can live for up to 2 hours in an air space after a person is infected
What is HIV?
The human immunodeficiency viruses (HIV) are two species of Lentivirus (a subgroup of retrovirus) that infect humans. Over time they cause AIDS.
What causes HIV?
HIV spreads when an infected person’s bodily fluids- including semen, blood, vaginal offloads and breast milk- get into your blood system.
What is Tobacco Mosaic Virus?
It is a widespread plant pathogen that affects around 150 species of plants including tomatoes and tobacco plants.
How is the Tobacco Mosaic Virus spread?
It is spread by contact between diseased plant material and healthy plants, and insect can act as vectors. The virus can remain infectious in the soil for about 50 years.
What is Salmonella?
Salmonella is a bacterial disease that is found in the guts of several animals, such as chickens.
How is salmonella transmitted?
Salmonella is transmitted through the consumption of raw meat or poultry or through food that is prepared in unhygienic conditions, such as when raw and cooked meat are handled on the same cutting board.
What is Gonorrhoea?
Gonorrhea is an STD caused by bacterium called Neisseria gonorrhoeae that is transmitted through sex. It most commonly affects the mouth, throat, rectum and in females, the cervix. It affects both men and women.
How is Gonorrhoea transmitted/spread?
Gonorrhea is spread through sexual intercourse or can be spread by a mother to baby during childbirth. Ejaculation does not have to occur for gonorrhea to be transmitted.
What are Rose Black spot?
Rose black spots are fungal diseases. It’s the most serious disease for a rose. It is caused by a fungus, Diplocarpon rosae, which infects the leaves and greatly reduces the plants growth as it decreases the photosynthesis rates decreasing it’s food for growth.The fungus is genetically very diverse and new strains very rapidly.